The Meeting with the Maharajah Ranjit Singh

In 1829 the 31st Regiment had an effective strength of 1086 all ranks but in that year the India establishment was reduced to 736 and consequently no reinforcement drafts arrived from England for a considerable time. The only notable event during the regiment’s stay in Meerut was the arrival of new colours to replace those which had been lost in the Kent. It was, however, involved in a major state occasion in 1831 after it moved to the Punjab frontier at Kurnal. It was part of the escort of Lord William Bentinck, the British Governor-General, who was about to meet the renowned Sikh ruler, the Maharajah Ranjit Singh.
Data records, as found in the file:
........
1.
{"formula": "U2O5", "functional": "PBE", "state": "relaxed", "m_tot_mub_per_fu": 2.000, "polymorph_energy_kj_per_mol_atoms": 0.0, "final_energy_ev_per_atom": -9.969, "sg": "No. 55", "rho_g_cm3": 8.24, "cell": [[6.963, 0.000, 0.000], [0.000, 30.961, 0.000], [0.000, 0.000, 4.159]], "species": ["U", "U", "U", "U", "U", "U", "U", "U", "U", "U", "U", "U", "U", "U", "U", "U", "O", "O", "O", "O", "O", "O", "O", "O", "O", "O", "O", "O", "O", "O", "O", "O", "O", "O", "O", "O", "O", "O", "O", "O", "O", "O", "O", "O", "O", "O", "O", "O", "O", "O", "O", "O", "O", "O", "O", "O"], "frac_coords": [[0.215, 0.213, 0.000], [0.217, 0.594, 0.000], [0.242, 0.975, 0.000], [0.244, 0.841, 0.000], [0.256, 0.341, 0.000], [0.258, 0.475, 0.000], [0.283, 0.094, 0.000], [0.285, 0.713, 0.000], [0.715, 0.287, 0.000], [0.717, 0.906, 0.000], [0.742, 0.525, 0.000], [0.744, 0.659, 0.000], [0.756, 0.159, 0.000], [0.758, 0.025, 0.000], [0.783, 0.406, 0.000], [0.785, 0.787, 0.000], [0.057, 0.665, 0.000], [0.066, 0.041, 0.000], [0.066, 0.536, 0.000], [0.069, 0.148, 0.000], [0.113, 0.772, 0.000], [0.200, 0.406, 0.000], [0.215, 0.214, 0.500], [0.221, 0.596, 0.500], [0.244, 0.976, 0.500], [0.246, 0.837, 0.500], [0.254, 0.337, 0.500], [0.256, 0.476, 0.500], [0.279, 0.096, 0.500], [0.285, 0.714, 0.500], [0.300, 0.906, 0.000], [0.387, 0.272, 0.000], [0.431, 0.648, 0.000], [0.434, 0.036, 0.000], [0.434, 0.541, 0.000], [0.443, 0.165, 0.000], [0.557, 0.835, 0.000], [0.566, 0.459, 0.000], [0.566, 0.964, 0.000], [0.569, 0.352, 0.000], [0.613, 0.728, 0.000], [0.700, 0.094, 0.000], [0.715, 0.286, 0.500], [0.721, 0.904, 0.500], [0.744, 0.524, 0.500], [0.746, 0.663, 0.500], [0.754, 0.163, 0.500], [0.756, 0.024, 0.500], [0.779, 0.404, 0.500], [0.785, 0.786, 0.500], [0.800, 0.594, 0.000], [0.887, 0.228, 0.000], [0.931, 0.852, 0.000], [0.934, 0.464, 0.000], [0.934, 0.959, 0.000], [0.943, 0.335, 0.000]]}

***

2.
{"formula": "MgSn3", "functional": "PBE", "state": "relaxed", "final_energy_ev_per_atom": -3.443, "sg": "No. 221", "rho_g_cm3": 5.99, "cell": [[4.723, 0.000, 0.000], [0.000, 4.723, 0.000], [0.000, 0.000, 4.723]], "species": ["Mg", "Sn", "Sn", "Sn"], "frac_coords": [[0.000, 0.000, 0.000], [0.000, 0.500, 0.500], [0.500, 0.000, 0.500], [0.500, 0.500, 0.000]]}

***

3.
{"formula": "BaEuO3", "functional": "PBE", "state": "relaxed", "m_tot_mub_per_fu": 5.027, "final_energy_ev_per_atom": -7.771, "sg": "No. 221", "rho_g_cm3": 6.41, "cell": [[4.437, 0.000, 0.000], [0.000, 4.437, 0.000], [0.000, 0.000, 4.437]], "species": ["Ba", "Eu", "O", "O", "O"], "frac_coords": [[0.000, 0.000, 0.000], [0.500, 0.500, 0.500], [0.000, 0.500, 0.500], [0.500, 0.000, 0.500], [0.500, 0.500, 0.000]]}

***

4.
........
The Maharajah was at that time at the height of his power. By birth no more than chief of one of the smaller confederacies of the Sikhs, he had, during the first twenty years of the century, formed that turbulent and divided people into a loyal and united nation under his absolute rule, and he had divorced the Punjab from its dependency on the Afghan state. He had also, by judicious employment of European officers, created a formidable army. His empire lay between the East India Company’s territories and an Afghanistan which it was thought was becoming increasingly susceptible to Russian influence. He might be a dangerous enemy or a valuable ally; and it was to establish friendly relations with him that the Governor-General had taken the unusual step of travelling to the frontier to meet him.
The meeting took place at Rupar on the British side of the River Sutlej. The Maharajah’s escort consisted of 10,000 of his best cavalry and 6,000 regular infantry who had been trained by European officers. It greatly outnumbered the British force which consisted of two squadrons of the 16th Lancers and two of irregular cavalry, eight guns of horse artillery, the 31st Regiment and two battalions of Bengal infantry. A bridge of boats had been placed across the river. The Maharajah crossed the river on the 26th October and the meeting began with great pomp and ceremony.
The occasion was later described by Captain White of the 31st Regiment. He wrote that “Ranjit Singh himself, in the midst of his glittering array, seemed impressed with the appearance made by the British allies. The number of Europeans present, two King’s corps, the 16th Lancers and the 31st Regiment, being in the governor’s train appeared to give him both surprise and pleasure. He regarded the men with evident astonishment, and remarked to those persons about him, that they were all so fair and young, they looked like gentlemen, comparing them to the sahibs of his acquaintance. He expressed himself also highly delighted with the whole of the troops, and with their movements as they went through several evolutions after the most approved system of military tactics; and the review being ended, he ordered a largesse, consisting of several mule-loads of rupees, to be distributed among the soldiers. However rapacious the Maharajah may be in his character of sovereign, upon this occasion he displayed a truly prince-like liberality, presenting shawls and silk to everybody who paid their respects to him. He also occasioned several of the soldiers and camp followers, who had been induced by curiosity to reconnoitre the precincts of his tented fields, to be called before him, and dismissed them with handsome presents. He was much pleased with the equipments of the British soldiers, especially the lancers; and though it is impossible to say whether ears so well accustomed to the din and dissonance of native music could relish the more subdued harmony of our instrumental performers, he gave a thousand rupees to each of the bands accompanying Lord William’s escort”.
Captain White then went on to discuss the state of the Sikh army and the extent of the French influence. He concluded that the British victory at Bhurtpore (when an immensely strong fortress occupied by a recalcitrant despot was finally taken by Company troops on 18th January 1826) had convinced other Indian rulers that British power was absolute, and was the reason why the outcome of the Rupar meeting was that Lord Bentinck gained the assurances of friendship which he had been seeking. He wrote: “The army of Ranjit Singh has been disciplined under the command of two French officers of very distinguished merit, who have introduced the tactics and system of their own nation, and, in consequence, the legion of cavalry, and the regular infantry, are said to be in a high state of efficiency. Besides these troops, the Ghora Churrahs of the bodyguard are, perhaps, the most effective regulars in India; their men are all Sikhs of good family, and receive liberal pay; they are splendidly equipped, their arms, consisting of swords and matchlocks, being mounted in silver. There is also a ghoorka battalion, and about four thousand irregular cavalry attached to the army. The artillery consists of sixty pieces of horse and a hundred and twenty heavy guns... The troopers of his elite bodyguard are all tried shots, and at eighty yards very seldom fail to hit a small brass pot with a matchlock. Ranjit Singh does not place implicit confidence in his European officers, keeping a watchful eye over them, and not infrequently displaying marks of distrust. The ukhbars, or native newspapers of the Upper Provinces, are continually reporting misunderstandings said to have occurred between him and these gentlemen, and some authorities state that French influence is on the decline at Lahore, though others, again, lamenting over the prevalence of European opinions, say that Ranjit Singh, instead of being independent, is controlled by his own general, M.Allard. In fact, the fall of Bhurtpore has impressed the native mind with a belief that nothing can now withstand the British power - a conviction much strengthened by the courtesies shewn at Rupar by Ranjit Singh to the Company’s Governor-General, which seemed to give an assurance that, notwithstanding the strength of his position, and the state of his army, he would do nothing to oppose the universal rule”.
• Records of crystals, kept here for reference:
-- begin --
No. 1
# Pr3Au PBE optimized geometry
data_Pr3Au
_cell_length_a 7.1104
_cell_length_b 7.1104
_cell_length_c 5.3859
_cell_angle_alpha 90.00
_cell_angle_beta 90.00
_cell_angle_gamma 120.00
_space_group_name_H-M_alt 'P 1'
_space_group_IT_number 1
_space_group_name_Hall 'P 1'
loop_
_atom_site_label
_atom_site_type_symbol
_atom_site_fract_x
_atom_site_fract_y
_atom_site_fract_z
Au1 Au 0.6667 0.3333 0.2500
Au2 Au 0.3333 0.6667 0.7500
Pr1 Pr 0.8230 0.6459 0.7500
Pr2 Pr 0.1770 0.3541 0.2500
Pr3 Pr 0.1770 0.8230 0.2500
Pr4 Pr 0.6459 0.8230 0.2500
Pr5 Pr 0.3541 0.1770 0.7500
Pr6 Pr 0.8230 0.1770 0.7500
# Relative energy among the computed polymorphs: 0.000 eV per atom

No. 2
# MgTi4S8 PBE optimized geometry
data_MgTi4S8
_cell_length_a 7.0138
_cell_length_b 7.0138
_cell_length_c 7.0138
_cell_angle_alpha 60.41
_cell_angle_beta 60.41
_cell_angle_gamma 60.41
_space_group_name_H-M_alt 'P 1'
_space_group_IT_number 1
_space_group_name_Hall 'P 1'
loop_
_atom_site_label
_atom_site_type_symbol
_atom_site_fract_x
_atom_site_fract_y
_atom_site_fract_z
Ti1 Ti 0.5000 0.5000 0.0000
Ti2 Ti 0.5000 0.0000 0.5000
Ti3 Ti 0.0000 0.5000 0.5000
Ti4 Ti 0.5000 0.5000 0.5000
S1 S 0.2544 0.2544 0.7416
S2 S 0.2584 0.7456 0.7456
S3 S 0.7456 0.2584 0.7456
S4 S 0.7456 0.7456 0.2584
S5 S 0.2544 0.7416 0.2544
S6 S 0.7457 0.7457 0.7457
S7 S 0.2543 0.2543 0.2543
S8 S 0.7416 0.2544 0.2544
Mg1 Mg 0.0000 0.0000 0.0000
# Relative energy among the computed polymorphs: 0.023 eV per atom

No. 3
# TaTiCo PBE optimized geometry
data_TaTiCo
_cell_length_a 5.0852
_cell_length_b 5.0858
_cell_length_c 7.9654
_cell_angle_alpha 90.00
_cell_angle_beta 90.00
_cell_angle_gamma 60.40
_space_group_name_H-M_alt 'P 1'
_space_group_IT_number 1
_space_group_name_Hall 'P 1'
loop_
_atom_site_label
_atom_site_type_symbol
_atom_site_fract_x
_atom_site_fract_y
_atom_site_fract_z
Ti1 Ti 0.8518 0.8518 0.7500
Ti2 Ti 0.1565 0.6614 0.2500
Ti3 Ti 0.1672 0.1672 0.2500
Ti4 Ti 0.6615 0.1565 0.2500
Ta1 Ta 0.3219 0.3219 0.9317
Ta2 Ta 0.6534 0.6535 0.4560
Ta3 Ta 0.3219 0.3219 0.5683
Ta4 Ta 0.6534 0.6535 0.0440
Co1 Co 0.3585 0.8422 0.7500
Co2 Co 0.0058 0.0058 0.9999
Co3 Co 0.8422 0.3585 0.7500
Co4 Co 0.0058 0.0058 0.5001
# VASP energy: -9.106 eV/atom

No. 4
# Ce2MgAl PBE optimized geometry
data_Ce2MgAl
_cell_length_a 5.2949
_cell_length_b 5.2949
_cell_length_c 5.2949
_cell_angle_alpha 60.00
_cell_angle_beta 60.00
_cell_angle_gamma 60.00
_space_group_name_H-M_alt 'P 1'
_space_group_IT_number 1
_space_group_name_Hall 'P 1'
loop_
_atom_site_label
_atom_site_type_symbol
_atom_site_fract_x
_atom_site_fract_y
_atom_site_fract_z
Ce1 Ce 0.7500 0.7500 0.7500
Ce2 Ce 0.2500 0.2500 0.2500
Al1 Al 0.0000 0.0000 0.0000
Mg1 Mg 0.5000 0.5000 0.5000
# VASP energy: -4.397 eV/atom

no.,magnetization (μB/f.u.)
1,0.00
2,0.02
3,0.00
4,0.84

=====

1.
The following is a DFT calculation (PBE) of GdBeO3 after structural relaxation.

Magnetization in Bohr magnetons per cell: 5.96
Calculated total energy in eV per atom: -8.993
-- stop --
Among the European officers was an Italian, Paola de Avitabile. The 31st were to meet him again many years later when he had become governor of the city of Peshawar. The Maharajah was familiar enough with European officers, but it was probably the first occasion that he had met British soldiers. His interest in them is therefore understandable. One wonders what they made of him for that almost legendary figure was a man of small stature; through smallpox as a child he had lost one eye; he had a broad and massive forehead and wore a long grey beard. He would have watched the display by British troops with a knowledgeable and critical eye for there was no great difference in the methods of European warfare taught by the French and the British.